What is Your Pricing Strategy?

What is Your Pricing Strategy?There are a lot of reasons to be in business. For some it is about autonomy and freedom. Others talk about having a passion for their business area.

But for the majority money plays a part.
So finding ways to optimise the money element of the business seems to make sense for the majority. That being so I’m always amazed that so few have investigated pricing strategies and the psychology behind how people perceive value and what they are prepared to pay.

For example, did you know that people, given a choice of two prices, for exactly the same item will often choose the more expensive?
And why do you think some switched on restaurants don’t use a denomination symbol in from of the price. Or why they round prices up to a full amount with no? For some a price of 15 is far better than 14.95 as they sell more dishes priced 15 than at 14.95. And if they can print the price quite small they sell even more.
And why is it that customers judge a dessert served in a heavy glass dish as tastier than the same one served in a lighter dish?
It seems that customers are perverse and don’t follow the logic we’d often expect.

Research on Price Psychology

A lot is talked about when it comes to pricing strategy. But I hear few facts .. only opinions.
So, I’ve spent some time looking at the research. Search hard enough and there is credible research on most topics.
And to add a twist to this article I’ve turned several pieces of price psychology research into short videos.
I’ll explain something even more interesting about this at the end of this article.

What the font is happening to prices!

(Attached: data records)
- - -
ORCA calculation (the ωB97M-V functional and the def2-TZVPD basis) on a molecular structure, C39H32F3N3OPPd.

```
! wB97M-V def2-TZVPD RIJCOSX def2/J DEFGRID3
* xyz -1 1
Pd 0.2533 -0.2182 -0.9620
C 1.0427 2.0364 1.5903
C -0.4345 2.1745 1.9153
C -0.7040 3.5061 2.6130
C -0.9127 1.0100 2.7850
C -2.4235 1.0599 3.0883
O -2.9214 -0.2151 2.6656
C -1.8615 -0.8548 2.0722
N -0.7339 -0.2866 2.1238
C -2.2041 -2.1284 1.4166
C -3.4994 -2.6085 1.6273
C -3.9447 -3.7764 1.0388
C -3.0837 -4.4791 0.2135
C -1.8008 -4.0070 -0.0081
C -1.3164 -2.8321 0.5771
P 0.3472 -2.1899 0.0524
C 0.9400 -3.5848 -1.0082
C 1.3800 -4.8195 -0.5298
C 1.8205 -5.8021 -1.4033
C 1.8250 -5.5654 -2.7730
C 1.3914 -4.3418 -3.2604
C 0.9575 -3.3560 -2.3817
C 1.3706 -2.5776 1.5413
C 0.8681 -2.8330 2.8126
C 1.7224 -3.0460 3.8885
C 3.0971 -3.0163 3.7102
C 3.6131 -2.7729 2.4424
C 2.7572 -2.5519 1.3756
H 1.3773 2.8576 0.9528
H 1.2155 1.1063 1.0463
H 1.6442 2.0414 2.5076
H -0.9921 2.1268 0.9722
H -0.1487 3.5631 3.5552
H -1.7611 3.6663 2.8357
H -0.3728 4.3347 1.9848
H -0.3190 1.0077 3.7082
H -2.9356 1.8294 2.5076
H -2.6598 1.1889 4.1448
H -4.1622 -2.0429 2.2650
H -4.9541 -4.1242 1.2179
H -3.4053 -5.3933 -0.2706
H -1.1655 -4.5685 -0.6754
H 1.3760 -5.0147 0.5362
H 2.1607 -6.7549 -1.0154
H 2.1701 -6.3329 -3.4554
H 1.3964 -4.1479 -4.3260
H 0.6285 -2.3852 -2.7406
H -0.2026 -2.8714 2.9725
H 1.3063 -3.2391 4.8701
H 3.7619 -3.1820 4.5490
H 4.6850 -2.7526 2.2847
H 3.1674 -2.3564 0.3900
F -5.9593 6.7755 -2.6481
C -4.9450 6.6204 -3.5373
F -4.2887 7.8035 -3.5443
F -5.5290 6.4971 -4.7470
C -4.0540 5.4742 -3.2044
C -4.1790 4.2560 -3.8621
C -3.3700 3.1909 -3.5140
C -2.4077 3.3043 -2.4960
C -2.3027 4.5478 -1.8440
C -3.1110 5.6112 -2.1896
C -1.5756 2.2151 -2.1325
C -0.8632 1.2707 -1.8002
H -4.9104 4.1429 -4.6517
H -3.4658 2.2429 -4.0260
H -1.5645 4.6548 -1.0599
H -3.0078 6.5590 -1.6756
N 7.6049 2.9361 -0.5154
C 6.6215 2.3578 -0.6525
C 5.3938 1.6261 -0.8246
C 4.8298 1.4877 -2.0879
C 3.6542 0.7619 -2.1966
N 3.0440 0.1966 -1.1604
C 3.5858 0.3465 0.0448
C 4.7607 1.0478 0.2689
H 5.2934 1.9340 -2.9564
H 3.1692 0.6343 -3.1577
H 3.0496 -0.1157 0.8654
H 5.1704 1.1411 1.2648
*
```

Energy relative to the best compared isomer or geometry (same formula, charge and spin) in kJ/mol: 0.00
Orbital gap in eV: 5.53
HOMO energy in eV: -3.5
E_LUMO in eV: 2.03
DFT total energy in eV: -68402.03150

Atomic partial charges in e from the Löwdin method, atoms 1 to 4:
1. Pd 0.183
2. C -0.093
3. C -0.401
4. C -0.074

=====

ORCA calculation (the ωB97M-V functional and the def2-TZVPD basis) on a molecular structure, C39H32N12O3RuS3.

```
! wB97M-V def2-TZVPD RIJCOSX def2/J DEFGRID3
* xyz 1 2
Ru 1.3535 0.2629 0.9750
C -0.5318 0.6809 3.7914
C 0.8590 1.2105 3.9127
C 1.2129 1.8128 5.1439
C 2.4663 2.2934 5.3387
C 3.4319 2.1062 4.3244
C 4.7810 2.4888 4.4970
C 5.7085 2.2034 3.5352
C 5.3233 1.5027 2.3797
C 4.0136 1.1361 2.1818
S 3.5381 0.1644 0.8017
C 3.0244 1.4681 3.1390
N 1.7073 1.1013 2.9087
H -0.8574 0.3062 4.7605
H -0.5812 -0.1240 3.0656
- - -

Let’s look at why the size of the font used makes a difference. Coulter & Coulter researched this in 2005. Their findings still hold true today.

Why you should partition your prices

Splitting the cost of an item also makes sense in many cases. For example, Amazon displays the item price and then adds the delivery price at the checkout.

This strategy was researched by Moritz, Greenleaf and Johnson. They talk about “partitioned prices” but for most of us that means splitting product and delivery costs.

Have a look at their ideas and see if they could be applied to your business.

-- What comes next are data records, not part of the entry --
[1]

Why 2+2 adds up to big profits

### Here the article breaks off for molecular data
- - -
107
Properties=species:S:1:pos:R:3:forces:R:3 method="wB97M-V/def2-TZVPD" lumo_energy_ha=-0.084 homo_ev=-10.07 relative_energy_ev=0.1715 total_charge=+1 gap_ev=7.78
Bi 0.428525 0.087397 0.261789 0.10 0.31 -0.08
C 1.440651 4.112613 2.366658 0.06 0.04 -0.06
O 1.066872 3.484251 3.592636 -0.24 -0.09 -0.09
C 1.353072 2.174623 3.854005 0.00 0.03 0.06
C 1.369878 1.851842 5.202262 -0.08 0.00 -0.12
C 1.628513 0.561314 5.643770 0.07 -0.01 0.08
C 1.932155 -0.410640 4.720435 -0.04 -0.07 -0.04
C 1.888613 -0.128127 3.350248 -0.16 0.23 0.09
C 2.424944 -1.110748 2.431796 0.31 -0.13 -0.14
N 2.097913 -1.170129 1.199500 -0.14 0.44 0.18
N 2.863718 -1.873729 0.310576 0.32 -0.53 -0.14
C 2.877533 -1.270800 -0.847806 0.08 -0.07 0.26
O 2.237615 -0.171720 -1.108972 -0.32 -0.04 0.05
C 3.690182 -1.869420 -1.930483 0.02 -0.04 -0.21
C 3.998571 -1.103517 -3.053203 -0.09 0.01 0.08
C 4.691599 -1.667469 -4.112466 0.01 0.00 -0.01
C 5.090941 -2.994982 -4.048922 0.00 -0.01 -0.03
C 4.819669 -3.750099 -2.915252 0.01 -0.01 -0.01
C 4.120312 -3.192530 -1.857980 -0.04 0.07 0.02
C 1.540733 1.165956 2.878324 0.07 0.12 0.07
O 1.450173 1.478390 1.581939 -0.17 -0.26 -0.11
H 1.398929 5.181456 2.570783 0.03 -0.03 0.02
H 2.450073 3.837702 2.065509 0.03 -0.02 0.04
H 0.754028 3.871701 1.556785 -0.04 -0.04 0.04
H 1.165539 2.647913 5.905530 0.03 0.04 0.01
H 1.640857 0.343907 6.702790 -0.01 -0.01 -0.01
H 2.208047 -1.408721 5.038766 0.02 0.01 0.01
H 3.244526 -1.742848 2.775161 -0.02 -0.04 -0.04
H 3.701037 -0.062006 -3.068306 -0.05 -0.03 -0.05
H 4.926486 -1.073210 -4.986440 0.01 0.00 0.01
H 5.615690 -3.441881 -4.883269 0.04 0.01 0.02
H 5.157147 -4.776630 -2.859864 -0.04 -0.01 0.00
H 3.891500 -3.766546 -0.971112 0.01 -0.03 -0.01
C -5.013834 -0.274448 -1.908241 0.00 0.07 0.09
N -3.969726 -1.207822 -2.321753 -0.04 0.06 -0.01
C -4.300803 -2.343399 -3.173847 0.13 -0.01 -0.05
C -2.725304 -0.964452 -1.871692 0.04 -0.02 0.00
O -2.483181 -0.054903 -1.085527 0.17 -0.06 0.02
C -1.613709 -1.906903 -2.343944 0.19 0.02 0.00
O -0.322511 -1.346464 -2.217343 0.01 0.58 0.19
C 0.132668 -0.560396 -3.314436 -0.01 -0.27 0.00
C 0.516743 0.879773 -2.954123 -0.05 -0.10 -0.33
O 0.134259 1.407189 -1.907004 -0.02 0.00 0.29
N 1.241108 1.548320 -3.863664 -0.03 0.07 0.17
C 1.663623 2.915796 -3.585927 -0.06 0.01 0.08
C 1.598601 1.071710 -5.187563 -0.04 -0.10 -0.07
H -5.934355 -0.505809 -2.435219 0.01 -0.04 -0.02
H -5.190572 -0.329455 -0.832660 0.00 -0.03 -0.02
H -4.716915 0.747936 -2.138564 0.00 -0.02 0.00
H -5.380632 -2.427150 -3.243356 -0.01 -0.01 0.04
H -3.908835 -2.224044 -4.186571 -0.03 0.00 0.00
H -3.917305 -3.275622 -2.756595 -0.04 -0.01 -0.03
H -1.616901 -2.784972 -1.691449 -0.07 -0.04 -0.06
H -1.778397 -2.250068 -3.368176 -0.01 0.00 0.03
H 1.008076 -1.071022 -3.714795 0.02 -0.01 -0.03
H -0.639297 -0.516290 -4.090469 0.05 0.00 -0.04
H 1.383732 3.178900 -2.573250 0.00 0.01 0.03
H 2.746272 2.990329 -3.694819 -0.01 -0.02 -0.02
H 1.187751 3.611243 -4.279729 0.01 -0.04 -0.03
H 1.403064 0.011195 -5.309850 0.04 0.05 -0.01
- - -

We have King and Janiszewski to thank for this one.
It seems that the fact that your customers know that 2+2 =4 means you can persuade them to spend more money with you. The “number facts” allow you to tap into your customers unconscious and nudge them into a purchase.
The rationale for this is in the following video.

Who made the videos?

Earlier in this article I indicated I was keeping something back until the end.
I have a confession to make. I didn’t actually make the videos in this article.
The videos were made by an automated business processing system ….. what most people call a bot.
I’ve been working on ways that businesses can automate necessary, but time consuming and expensive admin tasks, for a while. I’ve come up with a huge number of incredible systems that I’ll talk about in another article. But the most amazing one is this system that uses Artificial Intelligence to produce videos.

More on that another day ... and maybe a few more pricing strategies.